### Data
____________
1.
The following is a calculated XRD peak list of NaLi2BiI6. It was derived from a DFT-relaxed cell (PBE, Alexandria), using a wavelength of 1.5418 Å.

Atomic structure:
abc: 8.3515 8.3515 8.3515
angles: 55.27 55.27 55.27
Fractional coordinates of all 10 atoms:
Na (0.0000, 0.0000, 0.0000)
Li (0.3019, 0.3019, 0.3019)
Li (0.8111, 0.8111, 0.8111)
Bi (0.4885, 0.4885, 0.4885)
I (0.0695, 0.6879, 0.4325)
I (0.2062, 0.5708, 0.9093)
I (0.4325, 0.0695, 0.6879)
I (0.5708, 0.9093, 0.2062)
I (0.6879, 0.4325, 0.0695)
I (0.9093, 0.2062, 0.5708)

Peak list (12 most intense, 2θ = 10–80°, in order of rising 2θ)
2θ = 13.8°, I 204
2θ = 15.6°, I 169
2θ = 21.4°, I 108
2θ = 25.3°, I 127
2θ = 26.2°, I 1000
2θ = 27.9°, I 113
2θ = 34.4°, I 406
2θ = 40.3°, I 309
2θ = 45.1°, I 233
2θ = 48.8°, I 150
2θ = 65.1°, I 96
2θ = 67.7°, I 116

2.
The following is a calculated XRD peak list of LiBi2I2O2. It was derived from a DFT-relaxed cell (PBE, Alexandria), using a wavelength of 1.5418 Å.

Atomic structure:
abc: 4.1728 4.1728 10.2610
angles: 90.00 90.00 90.00
Fractional coordinates of all 7 atoms:
Li (0.0000, 0.0000, 0.0000)
Bi (0.0000, 0.0000, 0.3250)
Bi (0.5000, 0.5000, 0.5444)
I (0.0000, 0.0000, 0.7322)
I (0.5000, 0.5000, 0.0825)
O (0.0000, 0.5000, 0.4285)
O (0.5000, 0.0000, 0.4285)

Peak list (12 most intense, 2θ = 10–80°, in order of rising 2θ)
2θ = 27.6°, I 1000
2θ = 30.3°, I 446
2θ = 33.9°, I 270
2θ = 43.4°, I 206
2θ = 46.9°, I 155
2θ = 52.2°, I 351
2θ = 54.5°, I 133
2θ = 56.1°, I 131
2θ = 63.6°, I 69
2θ = 67.8°, I 70
2θ = 70.1°, I 74
2θ = 71.5°, I 81
____________

### Work order
It remains to repeat the part of the listing further up that starts with the line with "15.6°," and stops after the one with "0.3250)".

### Written answer
2θ = 15.6°, I 169
2θ = 21.4°, I 108
2θ = 25.3°, I 127
2θ = 26.2°, I 1000
2θ = 27.9°, I 113
2θ = 34.4°, I 406
2θ = 40.3°, I 309
2θ = 45.1°, I 233
2θ = 48.8°, I 150
2θ = 65.1°, I 96
2θ = 67.7°, I 116

2.
The following is a calculated XRD peak list of LiBi2I2O2. It was derived from a DFT-relaxed cell (PBE, Alexandria), using a wavelength of 1.5418 Å.

Atomic structure:
abc: 4.1728 4.1728 10.2610
angles: 90.00 90.00 90.00
Fractional coordinates of all 7 atoms:
Li (0.0000, 0.0000, 0.0000)
Bi (0.0000, 0.0000, 0.3250)